Thursday, August 28, 2008

-- Next to the text, the page also holds materials data --
-- begin --
VASP calculation (PBE-GGA) on crystalline MgZrNiB at its relaxed geometry.

Values from the calculation:
Distance to the lowest polymorph of the same formula: 403 meV per atom
Crystal system: cubic
Total moment: 0.00 μB/f.u.

CIF file:
```
data_MgZrNiB
_cell_length_a 6.0152
_cell_length_b 6.0152
_cell_length_c 6.0152
_cell_angle_alpha 90.00
_cell_angle_beta 90.00
_cell_angle_gamma 90.00
_symmetry_space_group_name_H-M 'F -4 3 m'
_symmetry_Int_Tables_number 216
_symmetry_space_group_name_Hall 'F -4 2 3'
loop_
_atom_site_label
_atom_site_fract_x
_atom_site_fract_y
_atom_site_fract_z
Mg1 0.0000 0.0000 0.0000
Zr1 0.2500 0.2500 0.7500
Ni1 0.0000 0.0000 0.5000
B1 0.2500 0.2500 0.2500
```

----------

Entry 1:
LaAsSe2: optimized geometry, PBE.

Lattice parameters (Å, degrees): 8.901 8.901 8.901 28.06 28.06 28.06
Fractional positions:
La  0.000  0.000  0.000
As  0.500  0.500  0.500
Se  0.398  0.398  0.398
Se  0.602  0.602  0.602

The size of the total moment comes out at 0.0 μB/f.u. The value obtained for the uncorrected formation energy is -790 meV/atom.

---

Entry 2:
MnZn2Au: optimized geometry, PBE.

Lattice parameters (Å, degrees): 3.899 3.899 4.016 90.00 90.00 90.00
Fractional positions:
Mn  0.000  0.000  0.000
Zn  0.000  0.500  0.500
Zn  0.500  0.000  0.500
Au  0.500  0.500  0.000

The formation energy comes out at -70 meV per atom. The size of the total moment comes out at 3.5 μB/f.u.

---

Entry 3:
Nd5Mg6: optimized geometry, PBE.

Lattice parameters (Å, degrees): 9.305 9.305 9.305 145.94 131.50 60.59
Fractional positions:
Nd  0.000  0.000  0.000
Nd  0.163  0.663  0.500
Nd  0.307  0.307  0.000
Nd  0.693  0.693  0.000
Nd  0.837  0.337  0.500
Mg  0.147  0.856  0.291
Mg  0.287  0.500  0.787
Mg  0.436  0.144  0.291
Mg  0.564  0.856  0.709
Mg  0.713  0.500  0.213
Mg  0.853  0.144  0.709

The formation energy comes out at 16 meV per atom. The size of the total moment comes out at 0.0 μB/f.u.

---

Entry 4:
Sc5CdOs4: optimized geometry, PBE.

Lattice parameters (Å, degrees): 3.239 3.239 17.010 90.00 90.00 90.00
Fractional positions:
Sc  0.000  0.000  0.000
Sc  0.000  0.000  0.188
Sc  0.000  0.000  0.373
Sc  0.000  0.000  0.627
Sc  0.000  0.000  0.812
Cd  0.500  0.500  0.500
Os  0.500  0.500  0.095
Os  0.500  0.500  0.286
Os  0.500  0.500  0.714
Os  0.500  0.500  0.905

The formation energy comes out at -380 meV per atom. The size of the total moment comes out at 0.0 μB/f.u.

---

Entry 5:
BeHgPb2: optimized geometry, PBE.

Lattice parameters (Å, degrees): 5.767 5.767 5.767 139.55 122.94 72.26
Fractional positions:
Be  0.000  0.000  0.000
Hg  0.500  0.500  0.000
Pb  0.196  0.696  0.500
Pb  0.804  0.304  0.500

The calculation puts the polymorph energy (0 for the lowest one) at 119 meV per atom. The formation energy comes out at 430 meV per atom. The size of the total moment comes out at 0.0 μB/f.u.

---

Entry 6:
SrAlB: optimized geometry, PBE.

Lattice parameters (Å, degrees): 9.902 3.969 6.818 90.00 90.00 90.00
Fractional positions:
-- stop --
-- The materials data stop here --

A bright Sunny Day

[Records of crystals, as found in the file]
********
Record 1
ThAl2CdAg | PBE-GGA | relaxed

Output
Raw total energy: -20.08 eV/cell
Energy relative to the elements: -0.282 eV/atom
Density: 7.8 g/cm³

a b c (Å): 4.3519 4.3519 6.4555
angles (deg): 109.70 109.70 90.00
Fractional coordinates of all 5 atoms:
Cd 0.2500 0.7500 0.5000
Al 0.6105 0.6105 0.2210
Al 0.3895 0.3895 0.7790
Th 0.0000 0.0000 0.0000
Ag 0.7500 0.2500 0.5000

Record 2
Ac2SiNi | PBE-GGA | relaxed

Output
Raw total energy: -20.34 eV/cell
Energy relative to the elements, uncorrected: -0.23 eV/atom
Density: 8.4 g/cm³

a b c (Å): 3.7493 3.7493 7.6318
angles (deg): 90.00 90.00 90.00
Fractional coordinates of all 4 atoms:
Si 0.5000 0.5000 0.5000
Ac 0.0000 0.0000 0.7571
Ac 0.0000 0.0000 0.2429
Ni 0.5000 0.5000 0.0000

Record 3
LaPrSeS | PBE-GGA | relaxed

Output
Raw total energy: -25.40 eV/cell
Energy relative to the elements, uncorrected: -2.02 eV/atom
Density: 6.1 g/cm³

a b c (Å): 4.2037 4.2037 7.3210
angles (deg): 73.32 73.32 60.00
Fractional coordinates of all 4 atoms:
La 0.9935 0.9935 0.0195
Pr 0.5067 0.5067 0.4799
S 0.2493 0.2493 0.2522
Se 0.7505 0.7505 0.7484

Record 4
AlMo3 | PBE-GGA | relaxed

Output
Raw total energy: -36.05 eV/cell
Energy relative to the elements: 0.046 eV/atom
ΔE to the lowest computed polymorph: 299 meV/atom
Density: 8.3 g/cm³

a b c (Å): 2.6620 4.4279 5.3417
angles (deg): 90.00 90.00 90.00
Fractional coordinates of all 4 atoms:
Mo 0.5000 0.5000 0.2433
Mo 0.5000 0.5000 0.7567
Mo 0.0000 0.0000 0.5000
Al 0.0000 0.0000 0.0000

Record 5
RbLiMn2Ni | PBE-GGA | relaxed

Output
Raw total energy: -19.53 eV/cell
Energy relative to the elements: 1.494 eV/atom
Density: 3.6 g/cm³

a b c (Å): 4.8142 5.2107 4.8142
angles (deg): 90.00 90.00 90.00
Last column: magnetic moment on the atom in μB.
Fractional coordinates of all 5 atoms:
Mn 0.5000 0.0000 0.0000  3.95
Mn 0.0000 0.0000 0.5000  4.11
Li 0.0000 0.0000 0.0000  -0.07
Rb 0.0000 0.5000 0.0000  -0.01
Ni 0.5000 0.5000 0.5000  0.58

Record 6
ReHgAs2 | PBE-GGA | relaxed

Output
Raw total energy: -40.56 eV/cell
Energy relative to the elements: 0.443 eV/atom
Density: 8.6 g/cm³

a b c (Å): 6.0708 6.0708 7.0695
angles (deg): 64.57 64.57 90.00
Fractional coordinates of all 8 atoms:
Re 0.2500 0.7500 0.5000
Re 0.5000 0.5000 0.0000
As 0.1818 0.6250 0.2500
As 0.8750 0.8182 0.7500
As 0.5682 0.1250 0.2500
As 0.3750 0.4318 0.7500
Hg 0.0000 0.0000 0.0000
Hg 0.7500 0.2500 0.5000

Record 7
YSiIr2 | PBE-GGA | relaxed

Output
Raw total energy: -31.71 eV/cell
Energy relative to the elements, uncorrected: -0.53 eV/atom
Density: 12.1 g/cm³

a b c (Å): 4.8588 4.8588 4.8588
angles (deg): 134.31 119.83 78.70
Fractional coordinates of all 4 atoms:
Si 0.7500 0.2500 0.5000
Y 0.2500 0.7500 0.5000
Ir 0.9592 0.9592 0.0000
Ir 0.5408 0.5408 0.0000

Record 8
Cr4Pt | PBE-GGA | relaxed

Output
Raw total energy: -38.47 eV/cell
Energy relative to the elements: 1.213 eV/atom
ΔE to the lowest computed polymorph: 1177 meV/atom
Density: 6.3 g/cm³

a b c (Å): 5.1726 5.1726 5.1726
angles (deg): 109.47 109.47 109.47
********
[Back to the article]

Seattle weather. The word that I could use to describe it in a positive light would be gloomy. What was with the almost tornado that hovered over Lake Washington the other day. Seattle? Despite this, I started feeling like my little Tigger self yesterday and D had to slow the little hummingbird down a few times. I get so excited now that I am feeling good that I get overwhelmed and start talking at lightening speed about things. If you could imagine. My life is kindof like my tongue.
People say that you can check out someone's tongue and see how healthy/unhealthy they are and I am starting to be a believer in that. When I do chemo, my life shuts down and so does my taste buds. They happen about the same day. Shit, even my eyes become blurry and I cannot see the TV or read for days. Can you imagine anything worse? I feel like crap, everything hurts, your mind is numb, you can't think, you can't remember where the toothpaste is and water starts tasting like poison? Awesome time! I mean, give me more.
I am laughing and I am joking, because I have exactly one week to do so. Laughing and joking is going to help me through this and you all get to remind me that I will soon feel better and the hell I went/going through is passing. So yes, the grey skies of the PNW are just like my taste buds.
But the good thing, is that I am drinking some delicious vanilla roobios tea right now and it finally tastes the way its supposed to and my heart feels like exploding with love again. What happens to the joy during chemo? What happens to my spirit? Where does it go? It feels like a grey cloud is injected into my port (my skin actually turns an ashen/grey colour during the chemo injection) and for a week "Heather" disappears. I have no control over that, nor do I have the energy to try to go and find her. She just goes away, far away and I feel like I am left with a shell of who I am. What animal do I transcend into? Let me think. A snail, with no shell. A...leaf that is at the end stage of rotting on the forest floor in early March? Yes, a leaf in March. That is what I feel like.
So today, is a good day. The little kid in me wants to sing lots of songs and happy songs at that. I want to look at all the blades of grass outside as if its the first time ever and ask "Why" a lot. I feel reborn and happy I have one FULL week of bliss ahead of me. One of my favorite bands is playing at Bumbershoot Saturday night, Band of Horses and I am looking forward to having the energy to trawl around like a salmon in the sea of people all day and night this Saturday with D. It will be fun.


Unknown said...

Hey beauty
glad yesterday was a better day for you...Band of Horses...sweet...I love you and miss you

# Tl2AgOs GGA-PBE relaxed
# Volume ... 79.7 Å³/f.u.
# Raw total energy ... -3.90 eV/atom
# ΔH_f (0 K) ... 0.805 eV/atom
data_Tl2AgOs
_chemical_formula_sum 'Tl4 Ag2 Os2'
_symmetry_space_group_name_H-M 'I -4 m 2'
_symmetry_Int_Tables_number 119
_symmetry_space_group_name_Hall 'I -4 -2'
_cell_length_a 4.0583
_cell_length_b 4.0583
_cell_length_c 9.6726
_cell_angle_alpha 90.00
_cell_angle_beta 90.00
_cell_angle_gamma 90.00
loop_
_atom_site_label
_atom_site_fract_x
_atom_site_fract_y
_atom_site_fract_z
Tl1 0.0000 0.0000 0.0000
Tl2 0.0000 0.5000 0.2500
Ag1 0.0000 0.5000 0.7500
Os1 0.0000 0.0000 0.5000

# Ta2CoHRu GGA-PBE relaxed
# Volume ... 62.3 Å³/f.u.
# Raw total energy ... -8.87 eV/atom
data_Ta2CoHRu
_chemical_formula_sum 'Ta2 Co1 H1 Ru1'
_symmetry_space_group_name_H-M 'P 4/m m m'
_symmetry_Int_Tables_number 123
_symmetry_space_group_name_Hall '-P 4 2'
_cell_length_a 4.1608
_cell_length_b 4.1608
_cell_length_c 3.6004
_cell_angle_alpha 90.00
_cell_angle_beta 90.00
_cell_angle_gamma 90.00
loop_
_atom_site_label
_atom_site_fract_x
_atom_site_fract_y
_atom_site_fract_z
Ta1 0.0000 0.5000 0.0000
Co1 0.0000 0.0000 0.5000
H1 0.0000 0.0000 0.0000
Ru1 0.5000 0.5000 0.5000

# YMgOs2 GGA-PBE relaxed
# Volume ... 70.3 Å³/f.u.
# Raw total energy ... -7.26 eV/atom
# ΔH_f (0 K) ... 0.367 eV/atom
data_YMgOs2
_chemical_formula_sum 'Y2 Mg2 Os4'
_symmetry_space_group_name_H-M 'I m m m'
_symmetry_Int_Tables_number 71
_symmetry_space_group_name_Hall '-I 2 2'
_cell_length_a 3.2269
_cell_length_b 4.8475
_cell_length_c 8.9895
_cell_angle_alpha 90.00
_cell_angle_beta 90.00
_cell_angle_gamma 90.00
loop_
_atom_site_label
_atom_site_fract_x
_atom_site_fract_y
_atom_site_fract_z
Y1 0.0000 0.0000 0.0000
Mg1 0.0000 0.0000 0.5000
Os1 0.0000 0.5000 0.2457

# AcNd4HoEr2 GGA-PBE relaxed
# Volume ... 278.0 Å³/f.u.
# Raw total energy ... -4.49 eV/atom
# ΔH_f (0 K) ... 0.119 eV/atom
data_AcNd4HoEr2
_chemical_formula_sum 'Ac1 Nd4 Ho1 Er2'
_symmetry_space_group_name_H-M 'P m m m'
_symmetry_Int_Tables_number 47
_symmetry_space_group_name_Hall '-P 2 2'
_cell_length_a 5.9723
_cell_length_b 5.9860
_cell_length_c 7.7765
_cell_angle_alpha 90.00
_cell_angle_beta 90.00
_cell_angle_gamma 90.00
loop_
_atom_site_label
_atom_site_fract_x
_atom_site_fract_y
_atom_site_fract_z
Ac1 0.0000 0.0000 0.0000
Nd1 0.0000 0.5000 0.2698
Nd2 0.5000 0.0000 0.2707
Ho1 0.5000 0.5000 0.5000
Er1 0.0000 0.0000 0.5000
Er2 0.5000 0.5000 0.0000

# Cu3PdBr9 GGA-PBE relaxed
# Volume ... 410.7 Å³/f.u.
# Energy relative to the elements, uncorrected ... -0.22 eV per atom
# Raw total energy ... -2.72 eV/atom
data_Cu3PdBr9
_chemical_formula_sum 'Cu12 Pd4 Br36'
_symmetry_space_group_name_H-M 'C 1 c 1'
_symmetry_Int_Tables_number 9
_symmetry_space_group_name_Hall 'C -2yc'
_cell_length_a 18.9592
_cell_length_b 8.1674
_cell_length_c 13.2878
_cell_angle_alpha 90.00
_cell_angle_beta 127.02
_cell_angle_gamma 90.00
loop_
_atom_site_label
_atom_site_fract_x
_atom_site_fract_y
_atom_site_fract_z
Cu1 0.0000 0.0345 0.0000

apriljahns said...

Even though the clouds are gray and oozing their life giving water on Seattle I'm glad your internal week is going to be a sunny one even if nature won't give us one externally.

Tink1272 said...

Awesome! I love Band of Horses! I'm glad that you are getting a little break with the gloom. Hope it lasts for a while!